Data.
+++
16
Properties=species:S:1:pos:R:3:forces:R:3:lowdin_charge:R:1 method="wB97M-V/def2-TZVPD" de_lowest_ev=1.1535 homo_ev=-8.703 spin_multiplicity=1 smiles="C=C/C=C/CC" lumo_energy_ev=1.210
C 1.251445 2.093383 1.387582 0.16 -0.04 -0.50 -0.12
C 0.537906 0.742273 1.358547 0.42 -0.30 -0.55 -0.25
C 0.075212 0.317072 -0.019808 -0.34 0.62 0.15 -0.12
C -0.745819 -0.700289 -0.259883 0.72 0.08 -0.01 -0.14
C -1.091151 -1.179605 -1.605382 -0.16 0.31 -0.13 -0.20
C -1.181677 -2.460592 -1.934405 0.15 -0.32 0.32 -0.01
H 1.768796 2.225247 0.434556 -0.10 0.16 -0.09 0.06
H 2.055891 2.112402 2.112431 -0.09 0.04 0.46 0.06
H 0.601874 2.952695 1.541778 -0.09 -0.04 0.01 0.07
H -0.293842 0.683539 2.057924 0.12 -0.09 0.19 0.11
H 1.299674 -0.004524 1.606666 -0.21 -0.05 0.45 0.11
H 0.477674 0.914080 -0.836019 -0.04 -0.16 -0.15 0.11
H -1.103823 -1.251826 0.599372 -0.15 -0.27 0.01 0.11
H -1.264831 -0.401620 -2.344183 -0.22 -0.08 -0.04 0.10
H -0.823402 -3.203855 -1.227340 -0.41 -0.08 0.08 0.06
H -1.563927 -2.838381 -2.871838 0.25 0.22 -0.20 0.05

41
Properties=species:S:1:pos:R:3:forces:R:3:lowdin_charge:R:1 method="wB97M-V/def2-TZVPD" total_charge=-1 homo_ev=-4.586 spin_multiplicity=1 lumo_energy_ev=2.270
Tl 1.245046 1.343207 1.185627 0.11 0.31 -0.19 0.75
O 0.580546 -1.036093 0.519227 -0.07 -0.34 -0.13 -0.16
C 1.030346 -1.919893 -0.197573 -0.37 -0.13 0.01 -0.20
C 2.319346 -1.988493 -0.829973 0.57 0.38 0.02 -0.11
C 2.630646 -3.090593 -1.619873 0.07 -0.04 -0.13 0.05
C 3.869846 -3.218793 -2.226073 -0.34 0.82 0.71 -0.19
C 4.861146 -2.232093 -2.016273 -0.07 -0.09 -0.08 -0.01
C 4.587746 -1.146493 -1.254973 0.07 0.03 -0.01 0.00
C 3.300746 -0.931693 -0.640473 -0.07 -0.23 -0.17 -0.37
O 3.078446 0.116407 0.000027 0.12 0.19 0.14 -0.20
N 4.154846 -4.334893 -3.034973 0.05 -0.74 -0.42 -0.38
O 5.271046 -4.432193 -3.533273 0.01 0.01 -0.02 0.03
O 3.274946 -5.171393 -3.208473 0.00 -0.09 -0.07 0.03
H 0.388646 -2.800693 -0.403073 -0.01 -0.01 0.01 0.13
H 1.894646 -3.866493 -1.783373 -0.05 -0.03 0.04 0.12
H 5.826246 -2.361093 -2.483673 0.02 -0.01 0.00 0.11
H 5.333646 -0.382393 -1.095473 0.04 0.09 0.03 0.11
C -3.331154 1.338307 -2.750073 0.28 0.29 0.03 -0.41
S -1.792854 2.272307 -3.048273 -0.27 -0.03 0.03 0.78
C -1.823254 3.349307 -1.663373 0.21 0.13 -0.14 -1.03
C -1.714854 2.939507 -0.374673 -0.32 0.74 -0.08 -1.16
S -1.631954 1.336707 0.163927 0.22 -0.61 0.30 0.48
S -1.762554 4.284007 0.807227 0.04 -0.27 -0.80 0.85
C -1.864554 5.599007 -0.329173 0.00 -0.20 -0.14 -1.53
S -1.890054 7.178607 0.109427 -0.02 0.31 0.13 0.47
S -1.947254 5.075307 -1.978573 0.02 -0.29 0.58 0.87
H -3.497554 0.704807 -3.615373 -0.02 -0.05 -0.12 0.02
H -4.151254 2.042007 -2.628473 -0.08 -0.05 -0.05 0.04
H -3.205154 0.738207 -1.851873 -0.06 -0.02 -0.03 -0.03
S 0.837946 -0.262693 3.736227 0.58 -0.15 0.09 0.55
C -0.797654 -0.075793 3.536827 0.09 0.21 0.68 -0.93
N -1.457354 1.089207 3.460327 -0.11 -0.22 -0.07 0.00
C -2.874354 0.901107 3.220027 -0.44 0.25 0.12 -0.18
C -3.017254 -0.632793 3.207627 -0.41 -0.03 -0.09 -0.14
N -1.692054 -1.087993 3.580927 -0.07 -0.09 -0.23 0.02
H -0.990054 1.957807 3.256127 0.08 -0.19 0.01 0.11
H -3.165454 1.340307 2.262127 0.06 -0.05 0.13 0.05
H -3.451654 1.363607 4.026627 -0.01 -0.10 -0.05 0.11
H -3.283354 -0.995693 2.210427 -0.05 0.05 0.07 0.11
H -3.759454 -0.981793 3.932427 0.03 0.06 -0.16 0.11
H -1.384754 -2.019693 3.352227 0.16 0.17 0.07 0.13

17
Properties=species:S:1:pos:R:3:forces:R:3:lowdin_charge:R:1 method="wB97M-V/def2-TZVPD" de_lowest_ev=0.7734 homo_ev=-8.798 spin_multiplicity=1 smiles=CN[C@H](C)CS lumo_energy_ev=0.951
C -2.268488 0.143077 0.497979 1.60 -0.05 0.69 -0.11
N -0.999840 -0.627237 0.397815 -0.66 -0.59 -0.63 -0.12
C 0.197296 0.138472 0.053042 -0.23 -0.03 0.77 -0.49
C 1.368720 -0.508643 0.836051 -0.31 -0.58 -0.62 -0.56
+++

Job.
Echo all of the contents further above with every line break kept, please.

Written answer.
16
Properties=species:S:1:pos:R:3:forces:R:3:lowdin_charge:R:1 method="wB97M-V/def2-TZVPD" de_lowest_ev=1.1535 homo_ev=-8.703 spin_multiplicity=1 smiles="C=C/C=C/CC" lumo_energy_ev=1.210
C 1.251445 2.093383 1.387582 0.16 -0.04 -0.50 -0.12
C 0.537906 0.742273 1.358547 0.42 -0.30 -0.55 -0.25
C 0.075212 0.317072 -0.019808 -0.34 0.62 0.15 -0.12
C -0.745819 -0.700289 -0.259883 0.72 0.08 -0.01 -0.14
C -1.091151 -1.179605 -1.605382 -0.16 0.31 -0.13 -0.20
C -1.181677 -2.460592 -1.934405 0.15 -0.32 0.32 -0.01
H 1.768796 2.225247 0.434556 -0.10 0.16 -0.09 0.06
H 2.055891 2.112402 2.112431 -0.09 0.04 0.46 0.06
H 0.601874 2.952695 1.541778 -0.09 -0.04 0.01 0.07
H -0.293842 0.683539 2.057924 0.12 -0.09 0.19 0.11
H 1.299674 -0.004524 1.606666 -0.21 -0.05 0.45 0.11
H 0.477674 0.914080 -0.836019 -0.04 -0.16 -0.15 0.11
H -1.103823 -1.251826 0.599372 -0.15 -0.27 0.01 0.11
H -1.264831 -0.401620 -2.344183 -0.22 -0.08 -0.04 0.10
H -0.823402 -3.203855 -1.227340 -0.41 -0.08 0.08 0.06
H -1.563927 -2.838381 -2.871838 0.25 0.22 -0.20 0.05

41
Properties=species:S:1:pos:R:3:forces:R:3:lowdin_charge:R:1 method="wB97M-V/def2-TZVPD" total_charge=-1 homo_ev=-4.586 spin_multiplicity=1 lumo_energy_ev=2.270
Tl 1.245046 1.343207 1.185627 0.11 0.31 -0.19 0.75
O 0.580546 -1.036093 0.519227 -0.07 -0.34 -0.13 -0.16
C 1.030346 -1.919893 -0.197573 -0.37 -0.13 0.01 -0.20
C 2.319346 -1.988493 -0.829973 0.57 0.38 0.02 -0.11
C 2.630646 -3.090593 -1.619873 0.07 -0.04 -0.13 0.05
C 3.869846 -3.218793 -2.226073 -0.34 0.82 0.71 -0.19
C 4.861146 -2.232093 -2.016273 -0.07 -0.09 -0.08 -0.01
C 4.587746 -1.146493 -1.254973 0.07 0.03 -0.01 0.00
C 3.300746 -0.931693 -0.640473 -0.07 -0.23 -0.17 -0.37
O 3.078446 0.116407 0.000027 0.12 0.19 0.14 -0.20
N 4.154846 -4.334893 -3.034973 0.05 -0.74 -0.42 -0.38
O 5.271046 -4.432193 -3.533273 0.01 0.01 -0.02 0.03
O 3.274946 -5.171393 -3.208473 0.00 -0.09 -0.07 0.03
H 0.388646 -2.800693 -0.403073 -0.01 -0.01 0.01 0.13
H 1.894646 -3.866493 -1.783373 -0.05 -0.03 0.04 0.12
H 5.826246 -2.361093 -2.483673 0.02 -0.01 0.00 0.11
H 5.333646 -0.382393 -1.095473 0.04 0.09 0.03 0.11
C -3.331154 1.338307 -2.750073 0.28 0.29 0.03 -0.41
S -1.792854 2.272307 -3.048273 -0.27 -0.03 0.03 0.78
C -1.823254 3.349307 -1.663373 0.21 0.13 -0.14 -1.03
C -1.714854 2.939507 -0.374673 -0.32 0.74 -0.08 -1.16
S -1.631954 1.336707 0.163927 0.22 -0.61 0.30 0.48
S -1.762554 4.284007 0.807227 0.04 -0.27 -0.80 0.85
C -1.864554 5.599007 -0.329173 0.00 -0.20 -0.14 -1.53
S -1.890054 7.178607 0.109427 -0.02 0.31 0.13 0.47
S -1.947254 5.075307 -1.978573 0.02 -0.29 0.58 0.87
H -3.497554 0.704807 -3.615373 -0.02 -0.05 -0.12 0.02
H -4.151254 2.042007 -2.628473 -0.08 -0.05 -0.05 0.04
H -3.205154 0.738207 -1.851873 -0.06 -0.02 -0.03 -0.03
S 0.837946 -0.262693 3.736227 0.58 -0.15 0.09 0.55
C -0.797654 -0.075793 3.536827 0.09 0.21 0.68 -0.93
N -1.457354 1.089207 3.460327 -0.11 -0.22 -0.07 0.00
C -2.874354 0.901107 3.220027 -0.44 0.25 0.12 -0.18
C -3.017254 -0.632793 3.207627 -0.41 -0.03 -0.09 -0.14
N -1.692054 -1.087993 3.580927 -0.07 -0.09 -0.23 0.02
H -0.990054 1.957807 3.256127 0.08 -0.19 0.01 0.11
H -3.165454 1.340307 2.262127 0.06 -0.05 0.13 0.05
H -3.451654 1.363607 4.026627 -0.01 -0.10 -0.05 0.11
H -3.283354 -0.995693 2.210427 -0.05 0.05 0.07 0.11
H -3.759454 -0.981793 3.932427 0.03 0.06 -0.16 0.11
H -1.384754 -2.019693 3.352227 0.16 0.17 0.07 0.13

17
Properties=species:S:1:pos:R:3:forces:R:3:lowdin_charge:R:1 method="wB97M-V/def2-TZVPD" de_lowest_ev=0.7734 homo_ev=-8.798 spin_multiplicity=1 smiles=CN[C@H](C)CS lumo_energy_ev=0.951
C -2.268488 0.143077 0.497979 1.60 -0.05 0.69 -0.11
N -0.999840 -0.627237 0.397815 -0.66 -0.59 -0.63 -0.12
C 0.197296 0.138472 0.053042 -0.23 -0.03 0.77 -0.49
C 1.368720 -0.508643 0.836051 -0.31 -0.58 -0.62 -0.56